Wanted:
Count the lines further down that contain the word "Ag" and give the number alone.
Input:
-- begin --
Formula: C16H22Cl2O2SeTi
Source: the Open Molecules 2025 dataset
Level of theory: ωB97M-V/def2-TZVPD

Results
Electronic energy ... -134554.199 eV
Largest force on an atom ... 2.941 eV/A
Net charge ... -2
Kohn-Sham gap ... 0.176 Eh

```
44
Properties=species:S:1:pos:R:3:forces:R:3
C -0.008 -1.508 -2.325 -1.26 1.17 -0.85
C -0.242 -0.097 -2.519 -0.65 -2.12 0.93
C -1.460 0.256 -1.838 2.01 -1.08 0.42
C 0.590 0.795 -3.360 0.03 0.12 -0.47
C -1.959 -0.870 -1.170 1.45 -1.23 -0.90
C -1.128 -2.026 -1.567 0.16 0.73 0.97
C -1.528 -3.478 -1.436 0.06 -0.69 0.28
C 1.000 -2.304 -3.104 0.16 -0.06 0.08
C -1.924 1.640 -1.755 -0.61 0.54 -0.41
C -3.140 -0.939 -0.290 -0.99 -0.17 0.07
Ti 0.249 -1.501 0.144 0.16 0.39 1.29
Cl 1.050 0.943 0.194 -0.37 -0.61 -0.21
Cl 2.511 -2.095 -0.211 0.08 -0.08 -0.41
O -0.843 -1.378 1.569 0.24 2.92 0.28
H 1.615 0.430 -3.506 -0.23 0.10 0.33
H 0.614 1.826 -2.995 0.13 -0.13 0.10
H 0.143 0.814 -4.367 0.06 0.17 0.00
H -1.143 2.408 -1.705 -0.06 -0.34 0.51
H -2.725 1.775 -1.039 0.19 0.18 0.66
H -2.433 1.817 -2.683 -0.38 0.45 -0.93
H -3.279 -0.055 0.341 0.25 -0.17 0.00
H -3.202 -1.835 0.337 0.49 0.27 0.03
H -4.020 -1.013 -0.926 -0.49 0.14 -0.17
H -2.031 -3.695 -0.467 0.23 0.31 -0.62
H -0.651 -4.187 -1.440 -0.78 0.80 -0.25
H -2.226 -3.745 -2.260 0.34 -0.10 0.32
H 1.969 -1.782 -3.080 -0.27 -0.20 -0.19
H 0.681 -2.477 -4.160 0.18 0.10 0.58
H 1.180 -3.264 -2.606 -0.03 0.10 -0.27
H -0.091 -1.164 2.217 -1.11 -0.06 0.07
O 0.238 -3.168 1.170 0.25 -1.08 -1.59
H 0.632 -3.917 0.716 0.78 -0.10 -0.07
Se 1.970 -0.333 3.301 0.45 -1.19 0.44
C 1.952 1.500 3.607 -0.82 -0.26 -0.18
C 2.958 2.338 3.075 -0.72 0.27 0.60
C 2.775 3.714 3.167 0.12 -0.08 0.41
C 1.645 4.286 3.771 0.30 -0.21 -0.49
C 0.674 3.428 4.274 -0.28 -0.32 0.48
C 0.798 2.043 4.245 1.19 0.57 -0.41
H 3.851 1.888 2.618 -0.58 0.26 0.14
H 3.565 4.352 2.814 0.21 0.35 -0.28
H 1.509 5.373 3.801 0.08 -0.40 0.02
H -0.203 3.841 4.742 -0.34 0.26 0.14
H 0.066 1.361 4.706 0.38 0.47 -0.46
```
Positions in Å, forces in eV/Å.

=====

Here is C29H51AgN3O5P as an isolated structure from the Open Molecules 2025 dataset. Energies are from ωB97M-V/def2-TZVPD.

Geometry as XYZ:
```
90
C29H51AgN3O5P (ωB97M-V/def2-TZVPD)
Ag -0.95 -1.00 1.22
P -0.53 -3.22 0.55
O -0.59 1.40 0.33
O -2.84 0.24 1.26
O 2.36 1.88 -1.56
O 1.73 0.09 -0.37
O -3.42 2.11 2.36
N 1.55 0.76 2.61
N 0.69 1.48 4.66
N -0.45 -0.10 3.32
C 1.55 1.23 -0.70
C 2.85 1.33 2.90
C -2.13 -4.12 0.29
C 0.04 -2.60 -2.10
C 0.49 -3.51 -0.95
C 2.75 -2.89 -1.96
C 2.13 -3.59 -3.17
C -1.04 0.09 5.70
C 0.71 -3.05 -3.41
C -0.27 1.40 5.75
C 2.63 2.63 3.65
C 0.69 -5.62 1.63
C -1.49 2.22 1.07
C 1.38 -5.56 4.04
C 1.85 2.32 4.91
C 1.71 -6.12 2.66
C -2.56 -5.32 -1.91
C 1.57 -4.04 4.06
C 0.24 -4.18 1.94
C -2.07 -5.47 -0.47
C 1.35 -3.41 2.68
C -4.40 -4.00 -0.75
C 0.46 2.14 -0.20
C 1.98 -3.24 -0.67
C -4.03 -4.89 -1.95
C -3.20 -3.18 -0.30
C 0.55 0.68 3.56
C -1.55 -0.11 4.28
C -2.70 1.45 1.61
H 2.07 3.32 3.02
H -1.86 3.03 0.44
H -0.18 -6.28 1.62
H -2.28 0.67 4.03
H 2.43 -4.11 -0.20
H 3.36 1.50 1.95
H 2.50 1.83 5.65
H -5.23 -3.34 -1.01
H -0.37 -0.74 5.97
H -2.71 -6.19 0.04
H -1.86 0.11 6.41
H -1.94 -4.58 -2.42
H 1.08 -2.36 2.78
H 1.13 -5.68 0.63
H 2.00 -6.03 4.81
H -3.47 -2.43 0.44
H -4.23 -4.36 -2.88
H 0.29 1.48 6.69
H 0.87 -3.59 4.78
H -2.43 -4.34 1.32
H -4.67 -5.78 -1.96
H 2.09 -4.66 -2.98
H 0.37 -4.55 -1.26
H 0.35 -5.82 4.29
H -2.42 -6.26 -2.45
H -0.60 -4.23 2.64
H -1.07 -5.90 -0.45
H 0.93 2.79 0.56
H -4.74 -4.61 0.08
H -0.96 2.25 5.70
H 2.74 -3.45 -4.06
H -2.07 -1.06 4.18
H 1.71 -7.22 2.67
H -1.04 -2.60 -2.22
H 3.07 1.26 -1.80
H 0.74 -2.20 -4.10
H 0.13 2.79 -1.02
H 2.27 -3.46 2.10
H 2.72 -5.81 2.38
H 2.08 -2.41 0.03
H -0.95 2.66 1.92
H 0.32 -1.57 -1.85
H 1.49 3.25 5.37
H 3.48 0.65 3.49
H 3.58 3.09 3.91
H 2.57 -3.79 4.41
H 1.45 0.11 1.85
H -2.80 -2.62 -1.15
H 2.72 -1.81 -2.12
H 0.10 -3.82 -3.89
H 3.80 -3.17 -1.85
```

Values from the calculation:
net charge	0
E_LUMO	0.0114	hartree
HOMO energy	-7.990	eV
-- stop --
Done:
1